Entries
+++
The following is a simulated powder diffractogram of CsAgPbCl4. It was derived from a DFT-relaxed cell (PBE, Alexandria), using Cu Kα (λ = 1.5418 Å).
Kinematic intensities with the Lorentz-polarization factor, no thermal factor.

Structural model:
a b c (Å): 7.1161 7.3681 9.0145
angles (deg): 90.00 99.01 90.00
Space group P2_1/m (No. 11)
Unique sites:
Cs: 0.1915 0.2500 0.0645 (multiplicity 2)
Ag: 0.3735 0.2500 0.6876 (multiplicity 2)
Pb: 0.1778 0.7500 0.4601 (multiplicity 2)
Cl: 0.1109 0.5039 0.7041 (multiplicity 4)
Cl: 0.3007 0.7500 0.1520 (multiplicity 2)
Cl: 0.4326 0.2500 0.4119 (multiplicity 2)

Main lines, sorted by position (10° ≤ 2θ ≤ 90°):
d/Å	2θ/deg	intensity
5.676	15.6	31
4.649	19.1	39
4.215	21.1	100
3.810	23.3	39
3.684	24.2	88
3.132	28.5	56
2.863	31.2	56
2.838	31.5	29
2.700	33.2	52
2.592	34.6	28
2.130	42.4	28
2.120	42.6	35

***

The following is a simulated powder diffractogram of GaGeB. It was derived from a DFT-relaxed cell (PBE, Alexandria), using Cu Kα (λ = 1.5418 Å).
Kinematic intensities with the Lorentz-polarization factor, no thermal factor.

Structural model:
a b c (Å): 5.6129 3.0658 5.8156
angles (deg): 90.00 112.14 90.00
Space group P2_1/m (No. 11)
Unique sites:
Ga: 0.2053 0.2500 0.1234 (multiplicity 2)
Ge: 0.2042 0.2500 0.5517 (multiplicity 2)
B: 0.4687 0.2500 0.9303 (multiplicity 2)

Main lines, sorted by position (10° ≤ 2θ ≤ 90°):
d/Å	2θ/deg	intensity
5.199	17.1	13
2.875	31.1	47
2.693	33.3	11
2.641	33.9	100
2.599	34.5	32
2.091	43.3	12
2.023	44.8	28
1.983	45.8	12
1.875	48.6	32
1.797	50.8	19
1.728	53.0	13
1.533	60.4	11
+++
To do
The reader should work out how many lines further up have the word "angles" in them; a number is enough.
Outcome
2